Sheos is a short film created by Al Bundy and Kelly Bundy.
The film is shown on Married... with Children in the Season 9 episode, "Pump Fiction".
After arriving home from work, Al tells Peggy Bundy and Bud Bundy about his desire to get into the shoe publication, Shoe News after seeing his former co-worker, Luke Ventura, make the front page. Kelly, who is a student at The Larry Storch School of Acting, arrives home and tells the family that she has an assignment, where she has to make a short film. She tells her family that her instructor Larry Storch gave her the assignment to help her understand about working in front of and behind the camera, but she can't film anything until she has an ideas and tries to solicit ideas from her family. After the father and daughter duo struggle to figure how to achieve their goals of finding an idea in order to make a short film and getting featured in Shoe News, they eventually team up and work on the film.
The film was originally 8 hours long (7 hours of it being footage from when they left camera rolling and forgot about it), but they were able to cut it down to 3 and a half minutes. The Bundys' neighbor Marcy D'Arcy casts her doubt on the film, believing no one wants to see a film about shoes. Kelly tells her that she and her father believe in it so much, that they submitted it to the "Hammond Indiana Film Festival". Marcy becomes even more upset as Al tells her that they entered the contest as the prize was $10,000, as she tells them that the money is meant for starving and destitute artists.
The movie was titled Sheos, (an incorrect spelling of Shoes) and was a hit.
From what can be seen, the film talks about the origin of man's need for shoes.
Al, playing the pair of feet, is shown walking through a water filled inflated pool and onto muddy grass, as the narrator (also played by Al) explains that man had emerged from the water and stepped onto land "to escape from women and other blood sucking sea creatures".
The narrator explains that the cave people had to put something on their feet to keep them dry and safe from the elements. They had tried various ways such as using tree branches, slabs of rock, frying pans, and a pair of Bud's inflatable sex dolls.
Then, one day, according to legend, the great shoe man in the sky "who once scored four touchdowns in a single game" intervened and gave shoes to mankind.
Some say that there was no great shoe man in the sky, while others say that the answer won't be known until the other shoe drops.
Someone pasted records of crystals at this point
(1)
36
Lattice="6.090 0.000 0.000 0.000 6.314 0.000 0.000 0.000 17.373" Properties=species:S:1:pos:R:3 comment="Ba2Tl2O5 (meta-GGA r2SCAN, optimized geometry)" spacegroup="Pnma, No. 62" pbc="T T T"
Tl 0.000 0.000 0.000
Tl 3.045 3.157 0.000
O 3.264 3.559 6.291
Tl 0.000 0.000 8.687
O 4.509 4.614 8.891
O 0.701 2.396 4.343
Ba 6.069 3.252 6.761
Tl 0.138 5.985 13.030
O 2.826 2.755 11.082
Tl 2.907 2.829 4.343
Ba 0.020 3.061 10.612
Tl 5.951 0.328 4.343
Ba 3.065 0.095 15.447
O 1.464 4.857 8.891
O 4.625 1.457 8.482
O 0.219 5.912 6.291
Ba 3.065 0.095 10.612
O 0.219 5.912 2.396
O 3.264 3.559 2.396
O 5.871 0.402 14.977
O 5.389 3.918 13.030
Ba 3.024 6.218 1.926
O 1.580 1.700 0.205
Ba 0.020 3.061 15.447
O 5.871 0.402 11.082
O 1.464 4.857 17.168
Tl 3.183 3.485 13.030
O 1.580 1.700 8.482
O 4.509 4.614 17.168
O 3.746 0.761 4.343
O 2.344 5.553 13.030
Tl 3.045 3.157 8.687
Ba 6.069 3.252 1.926
Ba 3.024 6.218 6.761
O 4.625 1.457 0.205
O 2.826 2.755 14.977


(2)
8
Lattice="-9.796 1.493 6.274 -2.306 -2.884 0.150 9.663 -3.151 0.606" Properties=species:S:1:pos:R:3 comment="FeCl3 (meta-GGA r2SCAN, optimized geometry)" spacegroup="P1, No. 1" pbc="T T T"
Cl -2.569 -0.763 4.374
Fe -6.789 0.302 5.306
Cl 4.213 -2.047 0.563
Cl 3.453 -3.453 3.953
Cl -9.016 -0.268 5.639
Cl 0.781 -1.142 3.072
Cl 5.777 -5.374 1.894
Fe -3.193 -2.693 3.245


(3)
4
Lattice="0.000 3.149 3.149 3.149 0.000 3.149 3.149 3.149 0.000" Properties=species:S:1:pos:R:3 comment="LiCd2Ni (meta-GGA r2SCAN, optimized geometry)" spacegroup="Fm-3m, No. 225" pbc="T T T"
Cd 4.723 4.723 4.723
Li 3.149 3.149 3.149
Cd 1.574 1.574 1.574
Ni 0.000 0.000 0.000


(4)
3
Lattice="0.000 3.103 3.103 3.103 0.000 3.103 3.103 3.103 0.000" Properties=species:S:1:pos:R:3 comment="MnSbPt (meta-GGA r2SCAN, optimized geometry)" spacegroup="F-43m, No. 216" pbc="T T T"
Pt 1.552 1.552 1.552
Mn 3.103 3.103 3.103
Sb 0.000 0.000 0.000


(5)
35
Lattice="2.257 -4.197 -2.860 7.723 5.112 -1.587 0.604 -2.852 10.005" Properties=species:S:1:pos:R:3 comment="Fe3Pb8F24 (meta-GGA r2SCAN, optimized geometry)" spacegroup="P-1, No. 2" pbc="T T T"
F 5.826 1.023 -0.360
Fe 0.000 0.000 0.000
F 8.196 0.721 2.591
F 7.135 2.825 4.044
F 8.548 1.496 -3.176
F 5.153 -3.718 3.303
Fe 7.065 1.271 -1.838
F 6.507 -0.830 6.815
F 2.387 -2.658 2.968
Pb 6.835 -1.067 1.354
F 6.802 -0.541 -2.537
Pb 6.909 -3.313 4.800
Pb 3.050 -4.777 3.935
F 3.191 -5.096 6.759
F 5.430 1.781 2.256
Pb 7.533 2.840 1.623
F 7.392 3.159 -1.201
F 4.201 -0.835 1.750
F 2.138 -2.631 6.129
F 9.317 -1.921 4.087
F 2.035 -3.433 8.734
F 5.310 1.030 5.117
F 3.781 -1.396 8.096
F 8.445 0.694 -0.570
F 6.382 -1.102 3.809
F 1.266 -0.016 1.472
F 4.076 -1.107 -1.257
Pb 3.749 -0.870 4.205
F 5.273 -2.967 0.441
F 3.448 -4.762 1.515
Pb 2.931 -2.566 0.541
Pb 7.652 0.629 5.017
F 4.757 -2.960 5.918
Pb 3.674 1.376 0.759
Fe 3.518 -3.208 7.397


(6)
11
End of the records of crystals
A close up of Al is then shown laying on a chair with eyes closed and holding a shoe. He then whispers "Rosebud" before letting the shoe drop onto the muddy grass.
- Al Bundy as the narrator, feet, and shoe man in the sky
- Kelly Bundy as the woman who receives shoes
• Data records that have nothing to do with the entry:
=====
Entry 1:
Here is a relaxed structure of La3Sn7 from the Materials Project database. Energies are from GGA-PBE.

The structure belongs to space group Cmmm (No. 65); the cell edges are 4.632, 26.191 and 4.733 Å and the angles 90.00°, 90.00° and 90.00°. Symmetry generates all atoms from La at (0.000, 0.000, 0.000), La at (0.000, 0.185, 0.000), Sn at (0.000, 0.096, 0.500), Sn at (0.000, 0.288, 0.500), Sn at (0.000, 0.405, 0.000) and Sn at (0.000, 0.500, 0.500).

For the formation energy, the calculation gives -650.9 meV/atom. The calculation puts the density at 7.22 Mg/m³. Its total energy is -98.8 eV per cell.

=====

Entry 2:
Here is a relaxed structure of La3Sn4 from the Materials Project database. Energies are from GGA-PBE.

The structure belongs to space group Cmcm (No. 63); the cell edges are 4.569, 12.014 and 16.030 Å and the angles 90.00°, 90.00° and 90.00°. Symmetry generates all atoms from La at (0.000, 0.043, 0.250), La at (0.000, 0.328, 0.098), Sn at (0.000, 0.000, 0.000), Sn at (0.000, 0.227, 0.750) and Sn at (0.000, 0.384, 0.607).

For the formation energy, the calculation gives -762.9 meV/atom. The calculation puts the density at 6.73 Mg/m³. Its total energy is -144.7 eV per cell.

=====

Entry 3:
Here is a relaxed structure of La11Sn10 from the Materials Project database. Energies are from GGA-PBE.

The structure belongs to space group I4/mmm (No. 139); the cell edges are 12.209, 12.209 and 18.383 Å and the angles 90.00°, 90.00° and 90.00°. Symmetry generates all atoms from La at (0.000, 0.000, 0.161), La at (0.000, 0.251, 0.310), La at (0.000, 0.323, 0.102), La at (0.178, 0.178, 0.500), Sn at (0.000, 0.000, 0.393), Sn at (0.000, 0.364, 0.500), Sn at (0.000, 0.500, 0.250), Sn at (0.122, 0.122, 0.000) and Sn at (0.210, 0.210, 0.180).

For the formation energy, the calculation gives -784.2 meV/atom. The calculation puts the density at 6.58 Mg/m³. Its total magnetization is 0.45 μB/f.u. Its total energy is -443.4 eV per cell.

=====

Entry 4:
Here is a relaxed structure of LaSn3 from the Materials Project database. Energies are from GGA-PBE.

The structure belongs to space group Pm-3m (No. 221); the cell edges are 4.820, 4.820 and 4.820 Å and the angles 90.00°, 90.00° and 90.00°. Symmetry generates all atoms from La at (0.000, 0.000, 0.000) and Sn at (0.000, 0.500, 0.500).

For the formation energy, the calculation gives -575.0 meV/atom. The calculation puts the density at 7.34 Mg/m³. Its total energy is -19.3 eV per cell.

----------

CeO2 | GGA-PBE | optimized geometry

The structure belongs to space group P6_3/mmc (No. 194); the cell edges are 3.8201, 3.8201 and 5.9981 Å and the angles 90.00°, 90.00° and 120.00°. The inequivalent atoms are Ce at (0.3333, 0.6667, 0.2500), O at (0.0000, 0.0000, 0.0000) and O at (0.3333, 0.6667, 0.7500).

Its total energy after the MP2020 corrections is -52.65 eV/cell. As for the formation energy from the elements: -3499 meV per atom. For the theoretical density, the calculation gives 7.54 g cm⁻³.
=====
• End of the data records:
- Buck Bundy as Dog
- Bud Bundy as Not Bud Bundy
- Peggy Bundy as The Monster
Upon winning at the film festival and receiving a standing ovation, they received the $10,000 grant (with the stipulation that they must use the money to make another movie), which allowed them to make a sequel titled, A Day in the Life of a Shoe Salesman.
A Day in the Life of a Shoe Salesman[]
The movie starred Al, where he sells shoes to several attractive women in bikinis who then offer to make love to him.
Although Kelly expresses her displeasure with the direction Al is taking with the film, feeling that it has strayed from their original vision, she eventually changes her tune after he reveals that it will also feature a handsome muscular man who plans to take over the mall. Al also uses the money to hire his friends from NO MA'AM to help with production.
== What comes next are data records, not part of the article ==
~~~
A plane-wave DFT calculation with PBE-GGA was carried out for a relaxed structure of Bi9Ir2I3.

Results
Space-group type   No. 62
Formation energy from the elements   -0.24 eV per atom
Magnetization   0.010 μB per cell
Calculated total energy   -4.25 eV/atom
ρ   9.1 Mg/m³

Cell lengths 27.6363, 14.0933, 9.9132 Å; angles 90.00, 90.00, 90.00 degrees
Element x y z (fractional)
Bi  0.0427  0.0368  0.2442
Bi  0.0427  0.4632  0.2442
Bi  0.0449  0.7500  0.2791
Bi  0.0791  0.6360  0.0106
Bi  0.0791  0.8640  0.0106
Bi  0.0830  0.5284  0.5135
Bi  0.0830  0.9716  0.5135
Bi  0.0841  0.2500  0.4882
Bi  0.1071  0.2500  0.1643
Bi  0.1471  0.7500  0.4507
Bi  0.1665  0.0314  0.0929
Bi  0.1665  0.4686  0.0929
Bi  0.1712  0.7500  0.1295
Bi  0.1775  0.1355  0.6007
Bi  0.1775  0.3645  0.6007
Bi  0.2096  0.2500  0.3287
Bi  0.2110  0.5343  0.3572
Bi  0.2110  0.9657  0.3572
Bi  0.2890  0.0343  0.8572
Bi  0.2890  0.4657  0.8572
Bi  0.2904  0.7500  0.8287
Bi  0.3225  0.6355  0.1007
Bi  0.3225  0.8645  0.1007
Bi  0.3288  0.2500  0.6295
Bi  0.3335  0.5314  0.5929
Bi  0.3335  0.9686  0.5929
Bi  0.3529  0.2500  0.9507
Bi  0.3929  0.7500  0.6643
Bi  0.4159  0.7500  0.9882
Bi  0.4170  0.0284  0.0135
Bi  0.4170  0.4716  0.0135
Bi  0.4209  0.1360  0.5106
Bi  0.4209  0.3640  0.5106
Bi  0.4551  0.2500  0.7791
Bi  0.4573  0.5368  0.7442
Bi  0.4573  0.9632  0.7442
Bi  0.5427  0.0368  0.2558
Bi  0.5427  0.4632  0.2558
Bi  0.5449  0.7500  0.2209
Bi  0.5791  0.6360  0.4894
Bi  0.5791  0.8640  0.4894
Bi  0.5830  0.5284  0.9865
Bi  0.5830  0.9716  0.9865
Bi  0.5841  0.2500  0.0118
Bi  0.6071  0.2500  0.3357
Bi  0.6471  0.7500  0.0493
Bi  0.6665  0.0314  0.4071
Bi  0.6665  0.4686  0.4071
Bi  0.6712  0.7500  0.3705
Bi  0.6775  0.1355  0.8993
Bi  0.6775  0.3645  0.8993
Bi  0.7096  0.2500  0.1713
Bi  0.7110  0.5343  0.1427
Bi  0.7110  0.9657  0.1427
Bi  0.7890  0.0343  0.6428
Bi  0.7890  0.4657  0.6428
Bi  0.7904  0.7500  0.6713
Bi  0.8225  0.6355  0.3993
Bi  0.8225  0.8645  0.3993
Bi  0.8288  0.2500  0.8705
Bi  0.8335  0.5314  0.9071
Bi  0.8335  0.9686  0.9071
Bi  0.8529  0.2500  0.5493
Bi  0.8929  0.7500  0.8357
Bi  0.9159  0.7500  0.5118
Bi  0.9170  0.0284  0.4865
Bi  0.9170  0.4716  0.4865
Bi  0.9209  0.1360  0.9894
Bi  0.9209  0.3640  0.9894
Bi  0.9551  0.2500  0.7209
Bi  0.9573  0.5368  0.7558
Bi  0.9573  0.9632  0.7558
Ir  0.1186  0.6008  0.2683
Ir  0.1186  0.8992  0.2683
Ir  0.1351  0.1008  0.3462
Ir  0.1351  0.3992  0.3462
Ir  0.3649  0.6008  0.8462
Ir  0.3649  0.8992  0.8462
Ir  0.3814  0.1008  0.7683
Ir  0.3814  0.3992  0.7683
Ir  0.6186  0.6008  0.2317
Ir  0.6186  0.8992  0.2317
Ir  0.6351  0.1008  0.1538
Ir  0.6351  0.3992  0.1538
Ir  0.8649  0.6008  0.6538
Ir  0.8649  0.8992  0.6538
Ir  0.8814  0.1008  0.7317
Ir  0.8814  0.3992  0.7317
I  0.0313  0.7500  0.6702
I  0.0631  0.1030  0.8386
I  0.0631  0.3970  0.8386
I  0.1781  0.6026  0.7733
I  0.1781  0.8974  0.7733
I  0.2198  0.2500  0.9549
I  0.2802  0.7500  0.4549
I  0.3219  0.1026  0.2733
I  0.3219  0.3974  0.2733
~~~
Marcy tries to halt production by bringing Alderman Kuczxynski to show him how taxpayers money is being wasted on smut like Al's film. Just then, one of the girls stands up and asks "Sugarcakes" if he still remembers her, implying that she and the alderman may be involved in a sexual relationship. Marcy demands that the Alderman intervene, but Al tells her that he will not as the grant was given to him by the NEA (National Endowment for the Arts) to make a movie about his life without interference. After declaring that she will take her complaint all the way to Washington D.C., Marcy storms out, as the Alderman stays behind to watch the rest of the shoot.
A month later, after Al wonders why it was taking so long for the film to be reviewed, it is revealed that Congress in a unanimous decision, agreed to disband the NEA for sponsoring the film. Despite hearing this, Al gleefully smiles as he also found out at the same time that he made the front page of Shoe News, with his picture and the headline, GIANT IDIOT MAKES MOVIE.